Assignment
Copy everything further below exactly.

Given
+++
# 1
Density functional theory data (PBE with a Hubbard U) for an optimized crystal structure of Ba2MnNbO6.

The total magnetization comes out at 16.0 Bohr magnetons per cell. Its total energy is -7.660 eV per atom.

The structure belongs to space group Pnma (No. 62); the cell edges are 11.7617, 8.0801 and 5.9009 Å and the angles 90.00°, 90.00° and 90.00°. Symmetry generates all atoms from Ba at (0.1253, 0.9996, 0.2390), Mn at (0.1259, 0.2500, 0.7392), Nb at (0.1249, 0.7500, 0.7362), O at (0.0013, 0.7500, 0.4818), O at (0.0068, 0.7500, 0.9684), O at (0.1257, 0.0024, 0.7315), O at (0.2469, 0.7500, 0.9597) and O at (0.2498, 0.2500, 0.9727).

# 2
Density functional theory data (PBE with a Hubbard U) for an optimized crystal structure of BaMnNbO2.

Its density of states at the Fermi level is 3.7 states/eV/f.u. The total magnetization comes out at 1.9 Bohr magnetons per cell. Its total energy is -5.137 eV per atom.

The structure belongs to space group P4/mmm (No. 123); the cell edges are 4.5478, 4.5478 and 6.4301 Å and the angles 90.00°, 90.00° and 90.00°. Symmetry generates all atoms from Ba at (0.0000, 0.0000, 0.0000), Mn at (0.0000, 0.0000, 0.5000), Nb at (0.5000, 0.5000, 0.5000) and O at (0.0000, 0.5000, 0.0000).

# 3
Density functional theory data (PBE with a Hubbard U) for an optimized crystal structure of Ba2MnNbO6.

Its density of states at the Fermi level is 0.9 states/eV/f.u. The total magnetization comes out at 32.0 Bohr magnetons per cell. Its total energy is -7.649 eV per atom.

The structure belongs to space group I4_1/amd (No. 141, origin choice 2); the cell edges are 8.2138, 8.2138 and 16.5612 Å and the angles 90.00°, 90.00° and 90.00°. Symmetry generates all atoms from Ba at (0.2496, 0.0000, 0.0000), Mn at (0.0000, 0.2500, 0.3750), Mn at (0.0000, 0.2500, 0.8750), Nb at (0.0000, 0.2500, 0.1241), O at (0.0000, 0.0010, 0.3723), O at (0.0000, 0.0068, 0.1217), O at (0.0000, 0.2500, 0.2417) and O at (0.0000, 0.2500, 0.7549).

# 4
Density functional theory data (PBE with a Hubbard U) for an optimized crystal structure of BaMnNb2O6.

Its density of states at the Fermi level is 3.1 states/eV/f.u. The total magnetization comes out at 21.5 Bohr magnetons per cell. Its total energy is -8.214 eV per atom.

The structure belongs to space group Fm-3m (No. 225); the cell edges are 8.1923, 8.1923 and 8.1923 Å and the angles 90.00°, 90.00° and 90.00°. Symmetry generates all atoms from Ba at (0.0000, 0.0000, 0.0000), Mn at (0.0000, 0.0000, 0.5000), Nb at (0.2500, 0.2500, 0.2500) and O at (0.0000, 0.2500, 0.2500).

# 5
Density functional theory data (PBE with a Hubbard U) for an optimized crystal structure of Ba2MnNbO6.

The total magnetization comes out at 16.0 Bohr magnetons per cell. Its total energy is -7.660 eV per atom.

The structure belongs to space group C2/c (No. 15); the cell edges are 9.9827, 5.8997 and 10.0053 Å and the angles 90.00°, 107.95° and 90.00°. Symmetry generates all atoms from Ba at (0.1250, 0.2435, 0.1254), Mn at (0.2500, 0.2500, 0.5000), Nb at (0.0000, 0.2611, 0.7500), O at (0.1188, 0.0336, 0.8710), O at (0.1265, 0.2671, 0.6242) and O at (0.1264, 0.4791, 0.3730).

# 6
Density functional theory data (PBE with a Hubbard U) for an optimized crystal structure of Ba4MnNb3O12.

Its density of states at the Fermi level is 7.5 states/eV/f.u. The total magnetization comes out at 1.5 Bohr magnetons per cell. Its total energy is -7.792 eV per atom.

The structure belongs to space group Im-3m (No. 229); the cell edges are 8.2302, 8.2302 and 8.2302 Å and the angles 90.00°, 90.00° and 90.00°. Symmetry generates all atoms from Ba at (0.2500, 0.2500, 0.2500), Mn at (0.0000, 0.0000, 0.0000), Nb at (0.0000, 0.0000, 0.5000), O at (0.0000, 0.0000, 0.2526) and O at (0.0000, 0.2500, 0.5000).

# 7
Density functional theory data (PBE with a Hubbard U) for an optimized crystal structure of Ba3Mn2NbO9.
+++

Completed
# 1
Density functional theory data (PBE with a Hubbard U) for an optimized crystal structure of Ba2MnNbO6.

The total magnetization comes out at 16.0 Bohr magnetons per cell. Its total energy is -7.660 eV per atom.

The structure belongs to space group Pnma (No. 62); the cell edges are 11.7617, 8.0801 and 5.9009 Å and the angles 90.00°, 90.00° and 90.00°. Symmetry generates all atoms from Ba at (0.1253, 0.9996, 0.2390), Mn at (0.1259, 0.2500, 0.7392), Nb at (0.1249, 0.7500, 0.7362), O at (0.0013, 0.7500, 0.4818), O at (0.0068, 0.7500, 0.9684), O at (0.1257, 0.0024, 0.7315), O at (0.2469, 0.7500, 0.9597) and O at (0.2498, 0.2500, 0.9727).

# 2
Density functional theory data (PBE with a Hubbard U) for an optimized crystal structure of BaMnNbO2.

Its density of states at the Fermi level is 3.7 states/eV/f.u. The total magnetization comes out at 1.9 Bohr magnetons per cell. Its total energy is -5.137 eV per atom.

The structure belongs to space group P4/mmm (No. 123); the cell edges are 4.5478, 4.5478 and 6.4301 Å and the angles 90.00°, 90.00° and 90.00°. Symmetry generates all atoms from Ba at (0.0000, 0.0000, 0.0000), Mn at (0.0000, 0.0000, 0.5000), Nb at (0.5000, 0.5000, 0.5000) and O at (0.0000, 0.5000, 0.0000).

# 3
Density functional theory data (PBE with a Hubbard U) for an optimized crystal structure of Ba2MnNbO6.

Its density of states at the Fermi level is 0.9 states/eV/f.u. The total magnetization comes out at 32.0 Bohr magnetons per cell. Its total energy is -7.649 eV per atom.

The structure belongs to space group I4_1/amd (No. 141, origin choice 2); the cell edges are 8.2138, 8.2138 and 16.5612 Å and the angles 90.00°, 90.00° and 90.00°. Symmetry generates all atoms from Ba at (0.2496, 0.0000, 0.0000), Mn at (0.0000, 0.2500, 0.3750), Mn at (0.0000, 0.2500, 0.8750), Nb at (0.0000, 0.2500, 0.1241), O at (0.0000, 0.0010, 0.3723), O at (0.0000, 0.0068, 0.1217), O at (0.0000, 0.2500, 0.2417) and O at (0.0000, 0.2500, 0.7549).

# 4
Density functional theory data (PBE with a Hubbard U) for an optimized crystal structure of BaMnNb2O6.

Its density of states at the Fermi level is 3.1 states/eV/f.u. The total magnetization comes out at 21.5 Bohr magnetons per cell. Its total energy is -8.214 eV per atom.

The structure belongs to space group Fm-3m (No. 225); the cell edges are 8.1923, 8.1923 and 8.1923 Å and the angles 90.00°, 90.00° and 90.00°. Symmetry generates all atoms from Ba at (0.0000, 0.0000, 0.0000), Mn at (0.0000, 0.0000, 0.5000), Nb at (0.2500, 0.2500, 0.2500) and O at (0.0000, 0.2500, 0.2500).

# 5
Density functional theory data (PBE with a Hubbard U) for an optimized crystal structure of Ba2MnNbO6.

The total magnetization comes out at 16.0 Bohr magnetons per cell. Its total energy is -7.660 eV per atom.

The structure belongs to space group C2/c (No. 15); the cell edges are 9.9827, 5.8997 and 10.0053 Å and the angles 90.00°, 107.95° and 90.00°. Symmetry generates all atoms from Ba at (0.1250, 0.2435, 0.1254), Mn at (0.2500, 0.2500, 0.5000), Nb at (0.0000, 0.2611, 0.7500), O at (0.1188, 0.0336, 0.8710), O at (0.1265, 0.2671, 0.6242) and O at (0.1264, 0.4791, 0.3730).

# 6
Density functional theory data (PBE with a Hubbard U) for an optimized crystal structure of Ba4MnNb3O12.

Its density of states at the Fermi level is 7.5 states/eV/f.u. The total magnetization comes out at 1.5 Bohr magnetons per cell. Its total energy is -7.792 eV per atom.

The structure belongs to space group Im-3m (No. 229); the cell edges are 8.2302, 8.2302 and 8.2302 Å and the angles 90.00°, 90.00° and 90.00°. Symmetry generates all atoms from Ba at (0.2500, 0.2500, 0.2500), Mn at (0.0000, 0.0000, 0.0000), Nb at (0.0000, 0.0000, 0.5000), O at (0.0000, 0.0000, 0.2526) and O at (0.0000, 0.2500, 0.5000).

# 7
Density functional theory data (PBE with a Hubbard U) for an optimized crystal structure of Ba3Mn2NbO9.